Relationship breakdown
## Misplaced calculated molecules
'''
No. 1
One molecule with the formula C3H9NO. Source: the Open Molecules 2025 dataset; level of theory: wB97M-V/def2-TZVPD.

The geometry in XYZ format:
```
14
Properties=species:S:1:pos:R:3:lowdin_charge:R:1
O 0.259 0.854 1.830 -0.057
N -0.291 0.426 -1.106 -0.132
C 0.825 -0.080 -0.314 -0.246
C 0.462 -0.359 1.138 -0.281
C -1.193 -0.628 -1.551 -0.152
H 0.083 0.894 -1.929 0.100
H -1.802 -1.010 -0.719 0.067
H 1.605 0.696 -0.283 0.122
H 1.297 -0.938 1.557 0.114
H 1.276 -0.999 -0.752 0.114
H -0.438 -0.974 1.166 0.105
H -1.904 -0.198 -2.284 0.081
H -0.636 -1.511 -1.988 0.085
H -0.080 0.629 2.696 0.079
```

Summary:
SMILES: CNCCO
2S+1: 1
Frontier orbital gap, eV: 9.932
LUMO, hartree: 0.0384

---

No. 2
A 2-piece molecular cluster, C3H9NO overall. Source: the Open Molecules 2025 dataset; level of theory: wB97M-V/def2-TZVPD.

The geometry in XYZ format:
```
14
Properties=species:S:1:pos:R:3:lowdin_charge:R:1
O -0.816 2.012 1.890 -0.060
N -1.139 -1.015 0.202 -0.002
C 0.963 -0.874 -1.050 -0.178
C -0.521 -0.594 -1.050 -0.310
C 1.840 0.003 -0.585 0.001
H 1.187 -1.841 -1.519 0.101
H -0.998 -1.150 -1.853 0.105
H -0.622 0.473 -1.252 0.097
H -2.145 -1.015 0.122 0.064
H -0.381 1.560 2.631 0.046
H -0.874 -0.517 1.035 0.042
H 1.476 0.939 -0.199 0.043
H 2.896 -0.207 -0.622 0.051
H -0.312 1.706 1.127 0.000
```

Summary:
SMILES: C=CCN.O
2S+1: 1
Frontier orbital gap, eV: 10.135
LUMO, hartree: 0.0316

---

No. 3
C3H9NO as an isolated structure in a non-equilibrium geometry. Source: the Open Molecules 2025 dataset; level of theory: wB97M-V/def2-TZVPD.

The geometry in XYZ format:
```
14
Properties=species:S:1:pos:R:3:lowdin_charge:R:1
O -2.934 -1.407 0.972 -0.212
N 2.810 0.083 -1.834 -0.063
C -1.169 0.364 1.090 -0.034
C 0.062 -0.220 0.478 -0.124
C 0.642 0.468 -0.517 0.117
H -2.083 -0.426 0.922 0.006
H 3.749 -0.081 -1.504 -0.034
H -0.937 0.476 2.149 0.097
H -1.477 1.295 0.620 0.090
H 2.714 0.486 -2.753 -0.038
H 0.350 -1.161 0.941 0.130
H 0.086 1.018 -1.271 0.106
H -3.528 -1.200 1.708 -0.005
H 1.715 0.304 -1.001 -0.035
```

Summary:
2S+1: 1
Frontier orbital gap, eV: 4.931
LUMO, hartree: -0.1223

---

No. 4
One molecule with the formula C3H9NO in a non-equilibrium geometry. Source: the Open Molecules 2025 dataset; level of theory: wB97M-V/def2-TZVPD.

The geometry in XYZ format:
```
14
Properties=species:S:1:pos:R:3:lowdin_charge:R:1
O 0.746 1.856 -0.672 -0.060
N -0.124 -1.940 0.675 -0.049
C -0.305 -1.131 -0.541 -0.283
C -0.746 0.170 0.040 -0.246
C 0.259 1.177 0.433 -0.313
H 0.685 -0.856 -1.185 0.148
H -0.085 1.979 1.022 0.104
H 0.381 -1.469 1.436 0.062
H -1.446 0.449 -0.755 0.115
H -1.036 -1.684 -1.025 0.082
H 1.090 0.755 1.027 0.127
H -1.531 -0.057 0.824 0.136
H 0.150 -2.954 0.731 0.086
H 1.446 1.266 -1.016 0.091
```

Summary:
SMILES: NCCCO
2S+1: 1
Frontier orbital gap, eV: 9.926
LUMO, hartree: 0.0362

---

No. 5
A 2-piece molecular cluster, C3H9NO2 overall in a non-equilibrium geometry. Source: the Open Molecules 2025 dataset; level of theory: wB97M-V/def2-TZVPD.
'''
## Here the piece continues

Cards (10)

  • Duck 2007 conducted a longitudinal study and established there were factors that threatened a relationship that were both dispositional and situational.
  • Duck 2007 proposed a phase model of relationship breakdown, suggesting it is a gradual process of distinct phases.
  • The intra psychic phase is where one of the partners becomes dissatisfied with the relationship. They do not tell their partner yet. Social withdrawal and re-evaluation of relationship.
  • The dyadic phase is a discussion of discontents within the relationship and a reassessment of goals, possibilities and commitments.
  • The social phase is where social implications are negotiated and support from third parties is sought out. Breakup is made public.
  • The grave dressing phase is the organisation of post-relationship lives and stories are prepared for different audiences.
  • Supporting evidence for the grave-dressing phase. Tashiro and Frazier 2003 found that individuals feel better about the end of the relationship when they focus on the situation, rather than their own flaws. This is positive as it strengthens the validity of the model and highlights the application of the theory to everyday relationships.
  • Useful applications to relationship therapy. Couples may be advised to use different strategies depending on the phase they are currently in. couples in the intrapsychic phase may be advised to shift their attention to the more positive aspects of their partners personality whereas couples in the dyadic phase will be advised to communicate dissatisfaction and ways to balance relationships. This is positive as it shows Duck’s model can be used to successfully help couples improve their relationships and stay together.
  • Ethical issues. Significant ethical issues may arise when investigating relationship breakdown, such as privacy, especially if research involves victims of domestic abuse. Moreover, issues of confidentiality and protection from psychological harm may arise as participants may experience distress during research. This is problematic as research may go against the BPS ethical code of conduct.
  • Individual differences in relation to the social phase. Dickson 1995 found that friends and relatives typically saw teenage breakups as less serious and wouldn’t put much effort into reconciling partners, however, the ending of relationships in older couples is seen as more distressing and third parties put more effort into reconciliation. This is problematic as Duck’s model won’t apply to all couples and is unable to accurately predict breakdown in different types of relationships.